[Material]
........
# 1
{"formula": "C23H27N5O2S2Ti", "method": "ωB97M-V/def2-TZVPD", "gap_ev": [5.7, 6.1], "mol_weight_g_mol": 517.50, "homo_ev": [-15.928, -15.928], "multiplicity": 2, "charge": 3, "symbols": ["Ti", "C", "N", "C", "C", "N", "C", "S", "C", "C", "C", "C", "C", "N", "H", "H", "H", "H", "H", "H", "H", "H", "H", "C", "O", "C", "C", "O", "C", "H", "H", "H", "H", "H", "H", "H", "H", "H", "H", "S", "C", "C", "C", "N", "C", "C", "C", "C", "C", "N", "C", "C", "H", "H", "H", "H", "H", "H", "H", "H"], "xyz": [[0.1127, 0.2901, -0.4036], [-2.5302, -3.7164, -1.8651], [-1.1483, -3.3211, -1.5742], [-0.1671, -4.1860, -1.0866], [0.9725, -3.4962, -0.9592], [0.7087, -2.1690, -1.3622], [-0.6348, -2.1092, -1.7526], [-1.3847, -0.6715, -2.2521], [1.6850, -1.4106, -2.1007], [2.6196, -2.0046, -2.9167], [3.4635, -1.1672, -3.6386], [3.3219, 0.2094, -3.5302], [2.3592, 0.7163, -2.6811], [1.5608, -0.0873, -1.9609], [-2.5431, -4.3669, -2.7376], [-3.1160, -2.8260, -2.0742], [-2.9433, -4.2479, -1.0107], [-0.3890, -5.2188, -0.8735], [1.9496, -3.8020, -0.6266], [2.6746, -3.0797, -3.0162], [4.2089, -1.5915, -4.2984], [3.9450, 0.8829, -4.1014], [2.2086, 1.7828, -2.5775], [-1.5974, -1.5941, 1.5696], [-1.3844, -0.3311, 0.8938], [-2.6000, 0.4753, 0.8172], [-2.2732, 1.7279, 0.0022], [-0.8637, 2.0471, 0.1568], [-0.5850, 2.7789, 1.3931], [-1.9319, -1.4047, 2.5882], [-0.6459, -2.1226, 1.5853], [-2.3472, -2.1737, 1.0318], [-2.9084, 0.6946, 1.8394], [-3.3758, -0.1056, 0.3166], [-2.8750, 2.5727, 0.3340], [-2.4351, 1.5850, -1.0630], [-0.6264, 2.1050, 2.2481], [-1.3244, 3.5707, 1.4893], [0.4011, 3.2181, 1.2992], [5.3136, 2.0733, 3.2498], [3.9610, 1.4782, 2.3853], [3.5180, 2.2443, 1.2809], [2.4442, 1.8206, 0.5576], [1.7542, 0.6806, 0.8348], [2.1902, -0.0588, 1.8837], [3.2564, 0.2919, 2.6643], [5.5622, 0.8351, 4.5079], [4.9088, 0.9612, 5.7226], [5.1401, -0.0257, 6.6767], [5.9517, -1.0539, 6.4678], [6.5975, -1.1414, 5.3116], [6.4389, -0.2140, 4.2864], [4.0208, 3.1638, 1.0112], [2.0950, 2.4101, -0.2860], [1.6407, -0.9690, 2.0969], [3.5480, -0.3421, 3.4900], [4.2562, 1.7966, 5.9377], [4.6560, 0.0246, 7.6444], [7.2708, -1.9816, 5.1940], [6.9944, -0.3065, 3.3628]], "atomic_forces_ev_per_a": [[-0.219, -0.062, -0.118], [-0.100, -0.048, -0.022], [0.021, 0.082, 0.033], [0.024, -0.007, 0.009], [-0.007, -0.009, 0.033], [0.009, -0.135, -0.064], [0.025, -0.026, 0.014], [0.048, 0.145, 0.076], [0.044, 0.196, -0.008], [-0.005, -0.013, -0.028], [-0.009, 0.023, 0.010], [0.004, -0.019, -0.013], [-0.003, -0.024, -0.029], [0.053, -0.003, 0.201], [0.028, 0.008, -0.002], [0.013, 0.008, 0.010], [0.024, 0.004, 0.010], [0.009, -0.003, 0.008], [0.004, -0.009, -0.008], [-0.007, -0.003, 0.010], [0.000, -0.004, -0.002], [-0.001, 0.007, 0.005], [0.006, -0.002, 0.003], [0.041, -0.113, 0.042], [0.067, 0.128, -0.057], [0.022, 0.028, 0.023], [-0.122, -0.046, 0.053], [0.063, -0.210, -0.125], [0.013, 0.124, 0.103], [0.013, 0.029, -0.007], [-0.005, 0.007, -0.004], [0.002, 0.028, -0.022], [0.036, 0.016, 0.002], [-0.017, 0.015, 0.020], [0.015, 0.012, -0.034], [-0.016, -0.011, 0.013], [-0.013, -0.015, -0.024], [-0.001, -0.012, -0.031], [0.003, -0.023, -0.019], [0.032, -0.061, 0.020], [0.113, 0.035, -0.025], [-0.094, 0.021, -0.050], [0.074, -0.067, 0.081], [-0.089, 0.005, -0.115], [-0.044, -0.012, -0.016], [-0.003, -0.041, 0.047], [-0.068, 0.105, -0.044], [-0.024, -0.061, 0.118], [0.007, 0.105, -0.124], [0.045, -0.162, 0.153], [-0.077, 0.127, -0.053], [0.051, -0.059, -0.031], [0.004, 0.000, -0.004], [0.015, 0.015, 0.006], [0.000, 0.000, -0.006], [-0.002, 0.000, 0.000], [-0.001, 0.003, -0.019], [0.001, -0.014, 0.009], [0.011, -0.004, -0.001], [-0.008, 0.000, -0.005]]}

# 2
........

[Exercise]
Could you repeat all of the listing further up character by character?

[Result]
# 1
{"formula": "C23H27N5O2S2Ti", "method": "ωB97M-V/def2-TZVPD", "gap_ev": [5.7, 6.1], "mol_weight_g_mol": 517.50, "homo_ev": [-15.928, -15.928], "multiplicity": 2, "charge": 3, "symbols": ["Ti", "C", "N", "C", "C", "N", "C", "S", "C", "C", "C", "C", "C", "N", "H", "H", "H", "H", "H", "H", "H", "H", "H", "C", "O", "C", "C", "O", "C", "H", "H", "H", "H", "H", "H", "H", "H", "H", "H", "S", "C", "C", "C", "N", "C", "C", "C", "C", "C", "N", "C", "C", "H", "H", "H", "H", "H", "H", "H", "H"], "xyz": [[0.1127, 0.2901, -0.4036], [-2.5302, -3.7164, -1.8651], [-1.1483, -3.3211, -1.5742], [-0.1671, -4.1860, -1.0866], [0.9725, -3.4962, -0.9592], [0.7087, -2.1690, -1.3622], [-0.6348, -2.1092, -1.7526], [-1.3847, -0.6715, -2.2521], [1.6850, -1.4106, -2.1007], [2.6196, -2.0046, -2.9167], [3.4635, -1.1672, -3.6386], [3.3219, 0.2094, -3.5302], [2.3592, 0.7163, -2.6811], [1.5608, -0.0873, -1.9609], [-2.5431, -4.3669, -2.7376], [-3.1160, -2.8260, -2.0742], [-2.9433, -4.2479, -1.0107], [-0.3890, -5.2188, -0.8735], [1.9496, -3.8020, -0.6266], [2.6746, -3.0797, -3.0162], [4.2089, -1.5915, -4.2984], [3.9450, 0.8829, -4.1014], [2.2086, 1.7828, -2.5775], [-1.5974, -1.5941, 1.5696], [-1.3844, -0.3311, 0.8938], [-2.6000, 0.4753, 0.8172], [-2.2732, 1.7279, 0.0022], [-0.8637, 2.0471, 0.1568], [-0.5850, 2.7789, 1.3931], [-1.9319, -1.4047, 2.5882], [-0.6459, -2.1226, 1.5853], [-2.3472, -2.1737, 1.0318], [-2.9084, 0.6946, 1.8394], [-3.3758, -0.1056, 0.3166], [-2.8750, 2.5727, 0.3340], [-2.4351, 1.5850, -1.0630], [-0.6264, 2.1050, 2.2481], [-1.3244, 3.5707, 1.4893], [0.4011, 3.2181, 1.2992], [5.3136, 2.0733, 3.2498], [3.9610, 1.4782, 2.3853], [3.5180, 2.2443, 1.2809], [2.4442, 1.8206, 0.5576], [1.7542, 0.6806, 0.8348], [2.1902, -0.0588, 1.8837], [3.2564, 0.2919, 2.6643], [5.5622, 0.8351, 4.5079], [4.9088, 0.9612, 5.7226], [5.1401, -0.0257, 6.6767], [5.9517, -1.0539, 6.4678], [6.5975, -1.1414, 5.3116], [6.4389, -0.2140, 4.2864], [4.0208, 3.1638, 1.0112], [2.0950, 2.4101, -0.2860], [1.6407, -0.9690, 2.0969], [3.5480, -0.3421, 3.4900], [4.2562, 1.7966, 5.9377], [4.6560, 0.0246, 7.6444], [7.2708, -1.9816, 5.1940], [6.9944, -0.3065, 3.3628]], "atomic_forces_ev_per_a": [[-0.219, -0.062, -0.118], [-0.100, -0.048, -0.022], [0.021, 0.082, 0.033], [0.024, -0.007, 0.009], [-0.007, -0.009, 0.033], [0.009, -0.135, -0.064], [0.025, -0.026, 0.014], [0.048, 0.145, 0.076], [0.044, 0.196, -0.008], [-0.005, -0.013, -0.028], [-0.009, 0.023, 0.010], [0.004, -0.019, -0.013], [-0.003, -0.024, -0.029], [0.053, -0.003, 0.201], [0.028, 0.008, -0.002], [0.013, 0.008, 0.010], [0.024, 0.004, 0.010], [0.009, -0.003, 0.008], [0.004, -0.009, -0.008], [-0.007, -0.003, 0.010], [0.000, -0.004, -0.002], [-0.001, 0.007, 0.005], [0.006, -0.002, 0.003], [0.041, -0.113, 0.042], [0.067, 0.128, -0.057], [0.022, 0.028, 0.023], [-0.122, -0.046, 0.053], [0.063, -0.210, -0.125], [0.013, 0.124, 0.103], [0.013, 0.029, -0.007], [-0.005, 0.007, -0.004], [0.002, 0.028, -0.022], [0.036, 0.016, 0.002], [-0.017, 0.015, 0.020], [0.015, 0.012, -0.034], [-0.016, -0.011, 0.013], [-0.013, -0.015, -0.024], [-0.001, -0.012, -0.031], [0.003, -0.023, -0.019], [0.032, -0.061, 0.020], [0.113, 0.035, -0.025], [-0.094, 0.021, -0.050], [0.074, -0.067, 0.081], [-0.089, 0.005, -0.115], [-0.044, -0.012, -0.016], [-0.003, -0.041, 0.047], [-0.068, 0.105, -0.044], [-0.024, -0.061, 0.118], [0.007, 0.105, -0.124], [0.045, -0.162, 0.153], [-0.077, 0.127, -0.053], [0.051, -0.059, -0.031], [0.004, 0.000, -0.004], [0.015, 0.015, 0.006], [0.000, 0.000, -0.006], [-0.002, 0.000, 0.000], [-0.001, 0.003, -0.019], [0.001, -0.014, 0.009], [0.011, -0.004, -0.001], [-0.008, 0.000, -0.005]]}

# 2